### Given
........
# CdHF, optimized geometry, DFT PBE-GGA
# * offset from the most stable computed form: 0.152 eV per atom
# * volume: 13.085 Å³ per atom
data_CdHF
_cell_length_a 3.3246
_cell_length_b 3.3246
_cell_length_c 4.1011
_cell_angle_alpha 90.00
_cell_angle_beta 90.00
_cell_angle_gamma 120.00
_space_group_name_H-M_alt 'P 3 m 1'
_space_group_IT_number 156
_space_group_name_Hall 'P 3 -2"'
loop_
_atom_site_label
_atom_site_type_symbol
_atom_site_fract_x
_atom_site_fract_y
_atom_site_fract_z
Cd1 Cd 0.0000 0.0000 0.0000
H1 H 0.3333 0.6667 0.1487
F1 F 0.6667 0.3333 0.6604


[1]
PBE SrLaP2, relaxed; total magnetic moment = 0.00 μB per formula unit; formation energy from the elements = -0.939 eV per atom; E = -21.2 eV/cell; SG = Fm-3m (225)
1.0
0.0000 3.6776 3.6776
3.6776 0.0000 3.6776
3.6776 3.6776 0.0000
La P Sr
1 2 1
direct
0.5000 0.5000 0.5000
0.7500 0.7500 0.7500
0.2500 0.2500 0.2500
0.0000 0.0000 0.0000

[2]
PBE SrLaP2, relaxed; total magnetic moment = 0.00 μB per formula unit; formation energy from the elements = -0.853 eV per atom; E = -20.8 eV/cell; SG = I-4m2 (119)
1.0
6.3664 -0.0003 0.0000
3.5103 5.3112 0.0000
-4.9384 -2.6555 3.0154
P Sr La
2 1 1
direct
0.2500 0.7500 0.5000
0.0000 0.0000 0.0000
0.5000 0.5000 0.0000
0.7500 0.2500 0.5000

[3]
PBE SrLaP3, relaxed; total magnetic moment = 0.00 μB per formula unit; formation energy from the elements = 0.289 eV per atom; E = -21.4 eV/cell; SG = Pm-3m (221)
1.0
-1.8967 3.5894 3.3215
-0.6794 -3.7214 3.6336
4.8429 0.8836 1.8106
P Sr La
3 1 1
direct
0.0000 0.5000 0.0000
0.0000 0.0000 0.5000
0.5000 0.0000 0.0000
0.0000 0.0000 0.0000
0.5000 0.5000 0.5000

[4]
PBE SrLa2P, relaxed; total magnetic moment = 0.75 μB per formula unit; formation energy from the elements = -0.725 eV per atom; E = -19.8 eV/cell; SG = R3m (160)
1.0
4.1455 0.0000 0.0000
2.0727 3.5901 0.0000
2.0727 1.1967 10.5303
La Sr P
2 1 1
direct
0.0519 0.0519 0.8442
0.2814 0.2814 0.1558
0.5003 0.5003 0.4990
0.6663 0.6663 0.0010

[5]
PBE SrLa2P, relaxed; total magnetic moment = 0.00 μB per formula unit; formation energy from the elements = -0.433 eV per atom; E = -37.4 eV/cell; SG = I-42d (122)
1.0
9.3268 0.0000 0.0000
0.0000 9.3268 0.0000
4.6634 4.6634 3.2526
La Sr P
4 2 2
direct
0.5396 0.1250 0.2500
0.8750 0.7896 0.7500
0.3750 0.4604 0.7500
0.2104 0.6250 0.2500
0.0000 0.0000 0.0000
0.7500 0.2500 0.5000
0.5000 0.5000 0.0000
0.2500 0.7500 0.5000

[6]
PBE SrLaP3, relaxed; total magnetic moment = 0.00 μB per formula unit; formation energy from the elements = -0.077 eV per atom; E = -23.2 eV/cell; SG = Pm-3m (221)
1.0
-1.2458 3.8398 -3.5832
2.9002 -2.5673 -3.7595
-4.3787 -2.7930 -1.4706
P Sr La
3 1 1
direct
0.0000 0.5000 0.0000
0.5000 0.0000 0.0000
0.0000 0.0000 0.5000
0.5000 0.5000 0.5000
0.0000 0.0000 0.0000

[7]
PBE SrLa2P, relaxed; total magnetic moment = 0.00 μB per formula unit; formation energy from the elements = -0.536 eV per atom; E = -19.1 eV/cell; SG = Cm (8)
1.0
-5.3146 -2.5691 2.2340
-2.3382 -4.7007 3.5032
-1.6454 1.6753 6.6724
P Sr La
1 1 2
direct
0.5395 0.5395 0.6237
0.8108 0.8108 0.6355
0.9895 0.9895 0.9498
0.1602 0.1602 0.2909

[8]
PBE SrLaP2, relaxed; total magnetic moment = 0.00 μB per formula unit; formation energy from the elements = -1.110 eV per atom; E = -21.9 eV/cell; SG = P4/mmm (123)
1.0
6.0973 0.0000 0.0000
0.0000 4.3177 0.0000
0.0000 0.0000 4.3152
P La Sr
2 1 1
direct
0.5000 0.3750 0.3751
0.0000 0.8750 0.8749
0.5000 0.8750 0.8750
0.0000 0.3750 0.3750

[9]
PBE SrLa2P, relaxed; total magnetic moment = 0.00 μB per formula unit; formation energy from the elements = -0.455 eV per atom; E = -18.8 eV/cell; SG = Amm2 (38)
1.0
2.2095 -6.7788 0.0000
2.2095 6.7788 0.0000
0.0000 0.0000 4.5648
La Sr P
2 1 1
direct
0.4472 0.5528 0.5000
0.9977 0.0023 0.0000
0.7333 0.2667 0.5000
0.3216 0.6784 0.0000

[10]
PBE SrLa4P5, relaxed; total magnetic moment = 0.00 μB per formula unit; formation energy from the elements = -1.406 eV per atom; E = -62.5 eV/cell; SG = Immm (71)
1.0
-4.2213 0.5279 -0.5874
0.3540 -3.0062 -5.2459
........
### Activity
Echo all of the entries earlier on character by character.
### Written answer
# CdHF, optimized geometry, DFT PBE-GGA
# * offset from the most stable computed form: 0.152 eV per atom
# * volume: 13.085 Å³ per atom
data_CdHF
_cell_length_a 3.3246
_cell_length_b 3.3246
_cell_length_c 4.1011
_cell_angle_alpha 90.00
_cell_angle_beta 90.00
_cell_angle_gamma 120.00
_space_group_name_H-M_alt 'P 3 m 1'
_space_group_IT_number 156
_space_group_name_Hall 'P 3 -2"'
loop_
_atom_site_label
_atom_site_type_symbol
_atom_site_fract_x
_atom_site_fract_y
_atom_site_fract_z
Cd1 Cd 0.0000 0.0000 0.0000
H1 H 0.3333 0.6667 0.1487
F1 F 0.6667 0.3333 0.6604


[1]
PBE SrLaP2, relaxed; total magnetic moment = 0.00 μB per formula unit; formation energy from the elements = -0.939 eV per atom; E = -21.2 eV/cell; SG = Fm-3m (225)
1.0
0.0000 3.6776 3.6776
3.6776 0.0000 3.6776
3.6776 3.6776 0.0000
La P Sr
1 2 1
direct
0.5000 0.5000 0.5000
0.7500 0.7500 0.7500
0.2500 0.2500 0.2500
0.0000 0.0000 0.0000

[2]
PBE SrLaP2, relaxed; total magnetic moment = 0.00 μB per formula unit; formation energy from the elements = -0.853 eV per atom; E = -20.8 eV/cell; SG = I-4m2 (119)
1.0
6.3664 -0.0003 0.0000
3.5103 5.3112 0.0000
-4.9384 -2.6555 3.0154
P Sr La
2 1 1
direct
0.2500 0.7500 0.5000
0.0000 0.0000 0.0000
0.5000 0.5000 0.0000
0.7500 0.2500 0.5000

[3]
PBE SrLaP3, relaxed; total magnetic moment = 0.00 μB per formula unit; formation energy from the elements = 0.289 eV per atom; E = -21.4 eV/cell; SG = Pm-3m (221)
1.0
-1.8967 3.5894 3.3215
-0.6794 -3.7214 3.6336
4.8429 0.8836 1.8106
P Sr La
3 1 1
direct
0.0000 0.5000 0.0000
0.0000 0.0000 0.5000
0.5000 0.0000 0.0000
0.0000 0.0000 0.0000
0.5000 0.5000 0.5000

[4]
PBE SrLa2P, relaxed; total magnetic moment = 0.75 μB per formula unit; formation energy from the elements = -0.725 eV per atom; E = -19.8 eV/cell; SG = R3m (160)
1.0
4.1455 0.0000 0.0000
2.0727 3.5901 0.0000
2.0727 1.1967 10.5303
La Sr P
2 1 1
direct
0.0519 0.0519 0.8442
0.2814 0.2814 0.1558
0.5003 0.5003 0.4990
0.6663 0.6663 0.0010

[5]
PBE SrLa2P, relaxed; total magnetic moment = 0.00 μB per formula unit; formation energy from the elements = -0.433 eV per atom; E = -37.4 eV/cell; SG = I-42d (122)
1.0
9.3268 0.0000 0.0000
0.0000 9.3268 0.0000
4.6634 4.6634 3.2526
La Sr P
4 2 2
direct
0.5396 0.1250 0.2500
0.8750 0.7896 0.7500
0.3750 0.4604 0.7500
0.2104 0.6250 0.2500
0.0000 0.0000 0.0000
0.7500 0.2500 0.5000
0.5000 0.5000 0.0000
0.2500 0.7500 0.5000

[6]
PBE SrLaP3, relaxed; total magnetic moment = 0.00 μB per formula unit; formation energy from the elements = -0.077 eV per atom; E = -23.2 eV/cell; SG = Pm-3m (221)
1.0
-1.2458 3.8398 -3.5832
2.9002 -2.5673 -3.7595
-4.3787 -2.7930 -1.4706
P Sr La
3 1 1
direct
0.0000 0.5000 0.0000
0.5000 0.0000 0.0000
0.0000 0.0000 0.5000
0.5000 0.5000 0.5000
0.0000 0.0000 0.0000

[7]
PBE SrLa2P, relaxed; total magnetic moment = 0.00 μB per formula unit; formation energy from the elements = -0.536 eV per atom; E = -19.1 eV/cell; SG = Cm (8)
1.0
-5.3146 -2.5691 2.2340
-2.3382 -4.7007 3.5032
-1.6454 1.6753 6.6724
P Sr La
1 1 2
direct
0.5395 0.5395 0.6237
0.8108 0.8108 0.6355
0.9895 0.9895 0.9498
0.1602 0.1602 0.2909

[8]
PBE SrLaP2, relaxed; total magnetic moment = 0.00 μB per formula unit; formation energy from the elements = -1.110 eV per atom; E = -21.9 eV/cell; SG = P4/mmm (123)
1.0
6.0973 0.0000 0.0000
0.0000 4.3177 0.0000
0.0000 0.0000 4.3152
P La Sr
2 1 1
direct
0.5000 0.3750 0.3751
0.0000 0.8750 0.8749
0.5000 0.8750 0.8750
0.0000 0.3750 0.3750

[9]
PBE SrLa2P, relaxed; total magnetic moment = 0.00 μB per formula unit; formation energy from the elements = -0.455 eV per atom; E = -18.8 eV/cell; SG = Amm2 (38)
1.0
2.2095 -6.7788 0.0000
2.2095 6.7788 0.0000
0.0000 0.0000 4.5648
La Sr P
2 1 1
direct
0.4472 0.5528 0.5000
0.9977 0.0023 0.0000
0.7333 0.2667 0.5000
0.3216 0.6784 0.0000

[10]
PBE SrLa4P5, relaxed; total magnetic moment = 0.00 μB per formula unit; formation energy from the elements = -1.406 eV per atom; E = -62.5 eV/cell; SG = Immm (71)
1.0
-4.2213 0.5279 -0.5874
0.3540 -3.0062 -5.2459